Science & Technology

Yale’s quantum computing journey — 20 years and counting

Yale’s Robert Schoelkopf, Michel Devoret, and Steven Girvin reflect on their trailblazing approach to quantum computing research.
16 min read
Robert Schoelkopf, Steven Girvin, and Michel Devoret.

Robert Schoelkopf, left, Steven Girvin, and Michel Devoret have been at the center of Yale’s Circuit QED research for two decades. (Photo by Dan Renzetti)

Yale’s quest to build the world’s first, fully useful quantum computer is also the story of a small-town kid’s obsession with short-wave radios, a Parisian’s fond boyhood memories of America, and a high school student from the New York suburbs who soaked up Saturday morning science programs at Yale’s Becton Center.

It is the story of three physicists — Robert Schoelkopf, Michel Devoret, and Steven Girvin — who converged at Yale and helped shape the way scientists worldwide approach the emerging field of quantum computing. Together, they and their Yale colleagues have imagined and built the scientific infrastructure for a new generation of technology, and elements of these discoveries now inform the research being done in labs around the world and most of the quantum computing products now in development.

This week, local and international colleagues are gathering on campus for a three-day conference to commemorate the 20th anniversary of the Yale scientists’ first published studies in what would be called Circuit QED (which stands for quantum electrodynamics), their trailblazing approach to quantum computing. Their approach has generated hundreds of academic papers and been cited by other researchers more than 100,000 times.

It has also helped make Yale a seedbed for tech industry talent in quantum computing, with graduate students and postdoctoral researchers moving on to positions at IBM, Google, and Silicon Valley start-ups, and at academic institutions around the globe.

And Schoelkopf, Devoret, and Girvin, who will play starring roles in this week’s conference, have been at the center of it all. All three have joint appointments at the Yale School of Engineering & Applied Science (SEAS) and Yale’s Faculty of Arts and Sciences (FAS).

Their vision? They wanted to create the “architecture” for a superconducting electrical circuit that harnesses the most curious features of quantum physics, such as the way quantum particles exist in multiple states at once (a phenomenon known as “superposition”) and the way these particles can become inextricably linked even when they are physically separated (described as “entanglement”). In this system, electrical signals propagating through the circuit would play the role of particles.

In doing so, it holds the promise of helping deliver historic advances in medicine, clean energy, and chemical engineering in a fraction of the time currently needed, not to mention providing revolutionary benefits in cybersecurity, traffic control, and artificial intelligence.

“Usually in physics, we think of our contributions to society as being indirect,” said Schoelkopf, Sterling Professor of Applied Physics at Yale School of Engineering & Applied Science with a secondary appointment in Physics in Yale’s Faculty of Arts and Sciences, and at age 59, the youngest of the trio. “You might be able to change the lives of your grandchildren. But this work offers a real opportunity to change things within our own lifetime.”

Introducing Circuit QED

Of the trio of Yale scientists at the forefront of this pioneering work, Schoelkopf was the first to join the university faculty, arriving as a postdoctoral researcher in 1995. Within three years he was an associate professor. Before coming to New Haven, he’d been a radio astronomer at Caltech, building sophisticated detectors to measure microwaves for space missions.

Schoelkopf was already familiar with Yale. As a high school student in Westchester County, New York, he used to travel to Yale’s Becton Center, the very building where he would later push the frontiers of quantum science, for weekend science programs.

Schoelkopf, in the lab, examines one of the special refrigerators used for research.
Schoelkopf, in the lab, examines one of the special refrigerators that researchers use to chill superconducting quantum devices down to near absolute zero for experiments. (Photo by Dan Renzetti)

“The one I remember most vividly was a demonstration of low-temperature physics, back in 1981,” Schoelkopf recalled. “That was my introduction to Yale and the spark for my interest in this kind of science.”

Girvin, now 73, was teaching at Indiana University when he first visited Yale in 2000 for a scientific colloquium. A theorist, he was studying the Quantum Hall effect, which involves the relationship of voltage, electrical current, and magnetic fields across an electrical conductor.

He had been fascinated by shortwave radios since he was a kid growing up in Brant Lake, New York, a hamlet in the Adirondacks. At the time, he’d hang antennas from tall trees, hoping to snag a faint radio signal from some faraway place — excellent training for envisioning quantum circuits decades later.

Girvin talks shop at a whiteboard at the Yale Quantum Institute.
Girvin talks shop at a whiteboard at the Yale Quantum Institute. (Photo by Allie Barton)

During his visit to Yale, Girvin introduced himself to a young researcher — Schoelkopf — who had recently developed the Radio Frequency Single-Electron Transistor, or RF-SET, a transistor so fast and sensitive that it changed the way one could count individual electrons as they passed through a circuit.

They began to talk shop. In a matter of minutes, Schoelkopf and Girvin were outlining on a blackboard what would become Yale’s new approach to reading bits of quantum information — called “qubits” — in a superconducting quantum computer.

Circuit QED would combine qubits with microwave photons (particles of electromagnetic radiation) in a physical device. Up to that point, no one had used microwaves as the vehicle to corral quantum data. But Schoelkopf saw that working with microwaves would make it easier, and less expensive, to engineer a quantum computer chip. Why? Because a massive manufacturing base already existed for the cell phone industry.

“Within 20 minutes we laid out the whole picture of what we could do together,” Girvin, who is now Yale’s Eugene Higgins Professor of Physics in the Faculty of Arts and Sciences (with a secondary appointment in Applied Physics at SEAS), recalled. “A few months after that, I moved over to Yale and completely switched what I was working on to something I hadn’t even heard of two years earlier.”

Of course, none of this theoretical work would mean anything without a specially designed, superconducting qubit that would work in the “circuit” Schoelkopf and Girvin envisioned.

The qubit guru

Qubits are often described as artificial atoms, but they’re actually much bigger than atoms. They’re about a millimeter long, in fact.

Scientists design qubits to have distinct properties and perform specific tasks, based on their environment. In the case of Circuit QED, the process would require a qubit that could “talk” to microwaves and also be able to hold onto its quantum information long enough to complete its portion of a calculation.

For Girvin and Schoelkopf, the first person who came to mind to design this qubit was a physicist in France, Michel Devoret, who had recently constructed a qubit with a much longer life than previous qubits. Unfortunately, no one at Yale thought they had a chance of luring Devoret away from Paris.

But they were wrong.

Devoret, now 70, had done some of the seminal work on artificial atom design, work he started in the lab of John Clarke at the University of California at Berkeley in the mid-1980s, before establishing his own lab at the French research facility CEA-Saclay. Devoret, along with his colleagues Daniel Esteve and Cristian Urbina, showed that key aspects of quantum physics could be viable in an electrical sense, operating within currents and voltages.

“We were making the first quantum bits, marrying the world of quantum physics to the world of electrical engineering,” Devoret said.

Then Devoret began hearing about new work that Yale researchers Douglas Stone and Dan Prober were doing in quantum mechanics. One of Prober’s postdoctoral associates — Schoelkopf — visited Devoret in France and told him about his progress in capturing and listening to microwaves. In 1999, Devoret, who had previously used microwaves for irradiating qubits but not listening to them, decided to take a sabbatical year at Yale.

“Rob and I set up a line of research in which we combined our expertise in quantum circuits and this new microwave technology,” he said. “It was the birth of Circuit QED.”

Persuading Devoret to leave France permanently was easier than expected: Devoret had lived in New Haven in 1966, when his father, a physician, had taken his own sabbatical at Yale School of Medicine. “It was wonderful,” Devoret, the Frederick W. Beinecke Professor of Applied Physics at SEAS (with a secondary appointment in Physics at FAS), said of that youthful experience. “It was a year in an exotic land, and I have great memories of life in the U.S. during this time.”

Senior research scientist Luigi Frunzio, left, Schoelkopf, and Devoret, working in the lab.
Senior research scientist Luigi Frunzio, left, Schoelkopf, and Devoret, working in the lab. (Photo by Brita Belli)

Devoret joined the Yale faculty in 2002, and he quickly became an integral part of the effort to lay the scientific groundwork for the birth of quantum computing using electrical circuits. Within two years, their first peer reviewed studies began appearing in major journals.

“We just immediately clicked,” Schoelkopf said. “You can be much smarter when you have smart people to talk to than you can be on your own, and we realized that.”

Putting qubits to work

One of the Yale team’s early landmark moments was the creation of the transmon qubit.

As it happened, the superconducting qubit that they introduced in 2007 was incredibly simple to build. “It’s just an antenna that communicates with microwaves,” Girvin said. “It looks like the kind of antennas I would hang between two trees, but this one is only one millimeter in size.”

The transmon qubit, however, had a decreased sensitivity to charge noise, which is an electrical field that can disrupt qubit performance. And over the next few years, it would become widely used by other quantum researchers worldwide.

A qubit, shown here, holds a bit of quantum data. (Photo by Dan Renzetti)

Yale also led the way in improving the lifetime of qubits, which have increased roughly a million-fold (or by a factor of 10 every few years). This progression is now sometimes called Schoelkopf’s Law.

Next came the challenge of putting that qubit to work. Schoelkopf and Girvin’s labs already had shown how a single photon can be coherently coupled to a single superconducting qubit. This proved, just as the Yale team had theorized, that quantum actions can be performed in a microchip electrical circuit using microwaves.

They demonstrated, again in 2007, that they could send a photon signal on demand from a qubit onto wires and also that it was possible to transmit a signal to a second, distant qubit.

Then, in 2009, the team created the first rudimentary, solid-state quantum processor and, a year later, developed an amplifier to boost the signals of microwaves, achieving quantum entanglement of three solid-state qubits — crucial functional steps in establishing the potential power of quantum computing.

With these discoveries the Yale team was able to chip away at the overall goal of building a framework for Circuit QED. “It was like Whac-A-Mole,” Girvin remembered. “You fixed one problem and then moved to another.”

Meanwhile, Yale’s quantum team continued to expand. Weekly meetings, which in the beginning involved a handful of people in a fourth-floor alcove in Becton Hall, grew to more than a dozen people, then to more than two-dozen people, including senior and junior faculty, postdoctoral researchers, and graduate students.

Today, as many as 60 people gather for meetings in the sleek, renovated home of the Yale Quantum Institute, which was created in 2014 to enhance the university’s leadership in the field.

“Yale wasn’t afraid to hire people in the same research domain,” Devoret explained. “The bet was that everyone would collaborate. It wasn’t a competition — we reinforced each other.”

Error correction comes a-calling

By the early 2010s, Yale’s quantum researchers focused their efforts on one of the great hurdles facing quantum computing, the matter of correcting errors.

In standard computers, the data stored inside is largely insensitive to its surroundings. That is not the case for quantum computers. A slight change in a qubit’s environment — even the act of directly observing a qubit — can cause it to revert to one of the “classical” states of “0” or “1” rather than a quantum superposition of the two states. (Traditional computers do their work via bits of information that come in the form of “0”s and “1”s. In quantum computers, qubits exist as both a “0” and a “1” simultaneously.) When a qubit’s state reverts like this, it loses the data it was carrying. Even more frustrating, when one qubit reverts to a classic state, it can cause other qubits to do likewise, triggering a cascade of errors.

Again, Yale researchers doggedly pursued the problem.

In 2014, they showed for the first time the ability to track quantum errors as they occur, a key step in addressing the challenge.

“Ninety-nine percent of quantum computing will be correcting errors,” Schoelkopf said at the time. “Demonstrating error correction that actually works is the biggest remaining challenge for building a quantum computer.”

A year later, the Devoret and Schoelkopf labs discovered a new type of quantum “friction” that could lead to better storage of quantum memory, which would further advance error correction. In 2016, the Yale team created the first error correction system that was able to cross the “break even” point in preserving a qubit for longer than the lifetime of its constituent parts. It did this by fixing errors as they happened.

“This is the first error correction to actually detect and correct naturally occurring errors,” Schoelkopf said that summer. “It is just the beginning of using quantum error correction for real computing. Now we need to combine quantum error correction with actual computations.”

Quantum gates and universal entanglers

By the late-2010s, Yale researchers turned their attention to making their qubits more robust, expanding error correction, and exploring new ways that qubits can perform basic tasks necessary in a computer. For example, in 2018, Schoelkopf’s lab designed a system to keep errors in some qubits from “leaking” over to other qubits.

That same year, Yale demonstrated the ability to “teleport” a quantum gate. In computer science, a gate is a standard logic operation used to carry out steps between two bits of information within a computer program. But because entangled quantum bits can be located far apart, you need a gate that can operate in multiple places.

At the time, Schoelkopf described it as “a milestone toward quantum information processing using error-correctable qubits.”

And other discoveries kept coming. In 2019, Yale developed a “universal entangler”. Entanglement, as described earlier, is one of the key features that would give a quantum computer its computational power.

A two-cavity device created by Yale researchers used microwave photons to hold quantum information. A superconducting qubit, shaped like a “Y,” “talked” to both cavities to control and measure the photons inside them.

“It’s an incredibly cool gadget,” Girvin said.

Then, last year, Devoret led a team that improved on quantum error correction to more than double the lifetime of a qubit; the error-corrected qubit lasted 1.8 milliseconds — thousands of times longer than the first generation of superconducting qubits that had emerged just two decades earlier.

Taking it the last mile

While these innovations have put Yale at the forefront of quantum computing, the researchers recognize that much work remains before a truly useful quantum computer is ready.

The lifespan of a qubit needs to be longer — much longer. Error correction must be expanded and refined. Furthermore, every concept and feature Yale has pioneered will benefit from further simplification to be applied for practical use.

Yale’s quantum team is actively involved in each of those pursuits, Schoelkopf said.

In the meantime, Yale researchers continue to provide national leadership — and help create jobs in quantum technology.

In 2019, Yale startup firm Quantum Circuits Inc. — founded by Schoelkopf, Devoret, and Luigi Frunzio, a senior research scientist in applied physics — opened a 6,000 square foot facility in New Haven for the development and testing of quantum computing technology.

Calculated molecules, as found in the file.
/*
Record 1
The following is a DFT calculation (ωB97M-V/def2-TZVPD) of C4H8S2 in the gas phase in a non-equilibrium geometry.

```
14
Properties=species:S:1:pos:R:3
C -2.4599 -1.6148 -1.8276
C -1.7677 -1.2842 -0.7805
S -0.6955 0.0931 -0.7910
C 0.7321 -0.6562 0.0255
C 1.7873 0.4363 0.2879
S 1.2517 1.3971 1.7598
H -3.0201 -2.5246 -1.7541
H -2.3990 -1.0456 -2.6995
H -1.8669 -1.9034 0.1436
H 1.1525 -1.5466 -0.5664
H 0.4117 -1.0445 0.9469
H 1.9047 1.1444 -0.5599
H 2.7463 -0.1055 0.5735
H 2.4193 1.8948 2.1841
```

Values from the calculation:
Energy relative to the best compared isomer or geometry (same formula, charge and spin) (kJ/mol): 139.88
HOMO (eV): -8.5
HOMO-LUMO gap (eV): 9.3


Record 2
The following is a DFT calculation (ωB97M-V/def2-TZVPD) of a molecular structure, C29H39N7O4SScSi.

```
82
Properties=species:S:1:pos:R:3
Sc -1.3967 0.5711 -0.2257
N -1.6691 2.6777 0.7098
C -2.5312 2.9029 1.8812
C -3.8434 2.1661 1.7307
N -3.6375 0.7425 1.4289
C -4.8196 0.1992 0.7527
C -4.8531 0.6232 -0.7024
N -3.6055 0.1863 -1.3311
C -3.3122 -0.0235 2.6365
C -2.5423 -1.2845 2.2967
N -1.3108 -0.9112 1.5814
H -0.7131 2.8904 0.9970
H -1.8962 3.2927 -0.0664
H -2.7184 3.9660 2.0474
H -1.9772 2.5520 2.7493
H -4.4141 2.6103 0.9157
H -4.4500 2.2929 2.6370
H -5.7433 0.5018 1.2635
H -4.7817 -0.8912 0.8022
H -4.9179 1.7071 -0.7950
H -5.7410 0.2146 -1.1911
H -3.4776 0.6182 -2.2403
H -3.6387 -0.8105 -1.5132
H -4.2154 -0.2724 3.2089
H -2.6940 0.6001 3.2858
H -3.1280 -1.9315 1.6403
H -2.3339 -1.8526 3.2061
H -0.7779 -1.7313 1.3101
H -0.6741 -0.3950 2.1975
C -1.5047 -3.3927 -1.4560
C -1.2568 -2.2249 -2.3372
N -1.2282 -0.9579 -1.9659
C -0.9059 -0.2301 -3.0911
C -0.7628 -1.0747 -4.1554
N -0.9908 -2.3250 -3.6533
C -0.3360 -0.9543 -5.5784
O 0.0080 0.2403 -6.0029
O -0.3356 -1.9421 -6.2678
C -0.7291 1.2409 -2.9955
O -0.2485 1.8846 -3.9168
O -1.1196 1.7214 -1.8580
H -1.8316 -3.0483 -0.4753
H -0.5840 -3.9645 -1.3299
H -2.2721 -4.0499 -1.8653
H -0.8998 -3.1604 -4.2140
H -0.0358 0.9211 -5.2794
C 4.3499 -0.9594 3.2112
C 3.0813 -1.5222 3.1970
C 2.2023 -1.2171 2.1687
C 2.5380 -0.3456 1.1319
C 3.8294 0.1886 1.1634
C 4.7246 -0.1103 2.1810
Si 1.3904 0.0417 -0.3440
C 1.8492 -1.3332 -1.5823
C 2.1513 -1.0552 -2.9182
C 2.4454 -2.0650 -3.8254
C 2.4489 -3.3899 -3.4145
C 2.1709 -3.6921 -2.0871
C 1.8756 -2.6747 -1.1910
H 5.0454 -1.2016 4.0049
H 2.7825 -2.2044 3.9830
H 1.2291 -1.6973 2.1888
H 4.1512 0.8414 0.3587
H 5.7241 0.3085 2.1594
H 2.0295 1.2559 -0.9652
H 2.1720 -0.0243 -3.2589
H 2.6780 -1.8149 -4.8537
H 2.6864 -4.1781 -4.1175
H 2.2070 -4.7205 -1.7467
H 1.6908 -2.9381 -0.1514
S 0.4718 1.8559 3.0632
C 2.0054 2.4544 2.6837
N 2.9785 2.3623 3.6304
C 4.2558 2.7744 3.4773
C 4.6492 3.3565 2.3116
C 3.6897 3.4907 1.2917
C 2.4072 3.0510 1.4674
H 2.7074 1.8985 4.4866
H 4.9031 2.6101 4.3259
H 5.6663 3.6937 2.1878
H 3.9711 3.9341 0.3451
H 1.6889 3.1313 0.6663
```

Values from the calculation:
Energy relative to the best compared isomer or geometry (same formula, charge and spin) (kJ/mol): 64.21
*/

In 2020, Girvin was named director of the Co-design Center for Quantum Advantage, a new national center for quantum research led by Brookhaven National Laboratory. The new center features top researchers from two dozen institutions, including Devoret and Schoelkopf.

And last year, Yale partnered with the University of Connecticut to explore the idea of creating a “quantum corridor” in Connecticut. The plan is to bring together scientists, manufacturers, employment experts, business leaders, educators, and state and local officials to formulate a strategy for making the state a hub for jobs and innovations in the “quantum economy” — with Yale’s discoveries playing a key role.

Meanwhile, on campus, Yale has continued to invest in the growth of its quantum programs. The Physical Sciences and Engineering Building, to be constructed in the northern end of Science Hill, will be home to quantum computing, quantum engineering, and materials science initiatives, and is expected to be the largest building project in Yale’s history.

This week, the researchers behind Circuit QED paused for some reflection during a three-day conference on the Yale campus marking the 20-year anniversary of the first two studies in which Yale embarked on its quantum computing journey: “Strong coupling of a single photon to a superconducting qubit using circuit quantum electrodynamics,” published in the journal Nature in September 2004, and “Cavity quantum electrodynamics for superconducting electrical circuits: An architecture for quantum computation,” which appeared that June in the journal Physics Review A.

The conference, supported by the Yale Quantum Institute and the Sigma Xi Fund, will include remarks and presentations by quantum computing researchers from around the world, researchers from private industry — and from Schoelkopf, Devoret, and Girvin themselves.

On Wednesday, Girvin opened the first day of the conference (Watch his presentation). Devoret, who is now partly associated with the quantum computer effort at Google, opened the second day; Schoelkopf will give the final presentation on Friday.

Then it’s back to work.

“We’ve had a lot of good science over the years, but there are always exciting new ideas just ahead,” Schoelkopf said. “We want to take it the last mile and see the technology succeed in changing people’s lives.”